Wednesday, April 17, 2019

1054, 1517, AND ALL THAT

Something big is happening in the Roman Catholic Church.  I speak as an outsider, a non-believer, but also as an interested observer of the oldest continuous functioning bureaucracy in the Western world.  The Church has undergone two great and apparently permanent schisms [along with many smaller ones]:  The schism of 1054, which separated the Roman Catholic Church, headquartered in Rome, from what became the Eastern Orthodox Church, originally with its headquarters in Constantinople; and The Reformation, which splintered the Church and produced Calvinists, Lutherans, Methodists, Pietists, Baptists, Anglicans, Episcopalians, and even Quakers and Shakers.  It is worth recalling that what we call The Reformation and date to 1517 was actually a three centuries long evolution, the eventual unfolding of which could not have been anticipated by John Calvin, Martin Luther, Jan Hus, Henry VIII, or any of the other significant players in that great drama.

The crisis now engulfing the Catholic Church has, it seems to me, three roots or causes, which are complicatedly intertwined.  The first is of course the deep systemic corruption throughout the Church evidenced by the sexual scandals, which are so widespread and so completely implicate virtually the entire Church hierarchy that no palliative remedies can possibly succeed.  The second, associated with the first, is the ever-greater difficulty of recruiting enough young men to staff the clergy and replace those dying out or retiring.  The third is the attempt to bring the Church into the modern day by such reforms as celebrating the Eucharist in the vernacular, which, while to some degree successful, have triggered a powerful conservative backlash that reaches all the way to the Vatican.

As always, money, tradition, and entrenched interest operate against any fundamental change, but that was, if anything, more true half a millennium ago when the Protestant Reformation erupted, took hold, and split the Christian world. 

I do not have a dog in this hunt, as they say down here in the Southland, so I am simply a fascinated observer.  I rather doubt many of us will live long enough to see this play out to the end.


  1. Eight years of Catholic grade-school left me a confirmed Un-believer. Never-mind the gory details. It was the theology itself that put me off. Though I must admit, the Mass in Latin, as I recall, had some peculiar charms.

  2. The church has always been corrupt, hasn't it? And I think that religions, by their very traditionalism, by definition have to suffer crises, even not in such swiftly moving times.
    Judaism and maybe Islam, and maybe the other Christian churches, are going through some sort of crisis.
    The big question: where are the believers going to jump ship to? And what's going to happen to all the priceless art?

  3. Sure, the *management* of the Catholic Church is kind of interesting to sit around and ponder as an outsider. How the Vatican's management system works. The tightness and closed nature of the management. The Church-in-Rome's managerial closed shop.

    'of course the deep systemic corruption throughout the Church evidenced by the sexual scandals'

    This is rather breathless hyperbole, and why not, isn't breathless hyperbole interesting? This is sarcasm, and why not, isn't sarcasm interesting? My detached and dispassionate manner is, at least, actually detached and dispassionate. And okay, 'of course', it's interesting to speculate about what is 'at the root' of the pedophilia crisis. An exclusive Old Boys Club based on a rigid class system, or such? Anyways, we are taking a moment and looking starkly at what the church bureaucracy has been doing. It's a thought.

  4. Danny,
    In the 1990s my colleagues in criminal justice remarked that the crimes of Catholic Church was more interesting than the New York mafia.

    In the last 30 years the Catholic church has admitted to widespread pedophilia, child abuse, forced detention and slave labor, financial impropriety, etc. The organization of the Catholic Church and its status as a "nation-state" is used to protect its finances from transparent oversight (Nash, 2019).

    If this isn't deep systemic corruption, please point to a better case study. Or perhaps you prefer the term "normalized deviance" (Vaughn, 1999)?
    cheers, Fergus

Molecular data, as found in the file >
=====
The following is a quantum chemistry calculation of the molecule C21H26ClN5, from OMol25.

The relative energy (zero: lowest compared OMol25 entry of this formula, charge and spin) is 0.00 kcal per mole. The SMILES is CCN(Cc1ccccc1)[C@@H](c1ccc(Cl)cc1)c1nnnn1C(C)(C)C. The lowest unoccupied orbital energy comes out at 0.5592 eV. The calculation puts the HOMO energy at -8.79 eV. As for the charge: 0.

Each atom is followed by the atoms it is bonded to, with distances in Å.
CARTESIAN COORDINATES (ANGSTROEM)
1 C -0.826 -1.663 2.246  H2 1.087, H3 1.085, H4 1.087, C5 1.528
2 H -0.589 -2.294 3.099  C1 1.087
3 H -1.583 -2.157 1.645  C1 1.085
4 H -1.236 -0.726 2.615  C1 1.087
5 C 0.440 -1.414 1.429  C1 1.528, N6 1.460, H52 1.093, H53 1.098
6 N 0.168 -0.615 0.238  C5 1.460, C7 1.458, C21 1.470
7 C 0.039 -1.432 -0.963  N6 1.458, C8 1.505, H19 1.102, H20 1.092
8 C -1.241 -2.223 -0.927  C7 1.505, C9 1.388, C13 1.390
9 C -1.231 -3.602 -0.775  C8 1.388, C10 1.385, H18 1.081
10 C -2.418 -4.313 -0.725  C9 1.385, C11 1.384, H17 1.080
11 C -3.629 -3.650 -0.825  C10 1.384, C12 1.385, H16 1.080
12 C -3.648 -2.274 -0.985  C11 1.385, C13 1.382, H15 1.080
13 C -2.461 -1.567 -1.039  C8 1.390, C12 1.382, H14 1.079
14 H -2.473 -0.496 -1.172  C13 1.079
15 H -4.590 -1.754 -1.072  C12 1.080
16 H -4.555 -4.204 -0.784  C11 1.080
17 H -2.397 -5.386 -0.607  C10 1.080
18 H -0.288 -4.125 -0.696  C9 1.081
19 H 0.895 -2.115 -1.079  C7 1.102
20 H 0.015 -0.765 -1.827  C7 1.092
21 C 1.058 0.546 0.098  N6 1.470, C22 1.493, C40 1.519, H51 1.094
22 C 0.531 1.464 -0.956  C21 1.493, N23 1.316, N26 1.362
23 N 0.861 1.432 -2.229  C22 1.316, N24 1.323
24 N 0.185 2.399 -2.827  N23 1.323, N25 1.264
25 N -0.541 3.021 -2.000  N24 1.264, N26 1.335
26 N -0.368 2.474 -0.795  C22 1.362, N25 1.335, C27 1.459
27 C -1.126 2.958 0.353  N26 1.459, C28 1.533, C32 1.530, C36 1.531
28 C -0.173 3.437 1.454  C27 1.533, H29 1.086, H30 1.087, H31 1.088
29 H 0.232 2.611 2.032  C28 1.086
30 H -0.715 4.085 2.138  C28 1.087
31 H 0.650 4.005 1.026  C28 1.088
32 C -1.975 4.139 -0.120  C27 1.530, H33 1.087, H34 1.086, H35 1.087
33 H -1.341 4.958 -0.448  C32 1.087
34 H -2.606 3.848 -0.955  C32 1.086
35 H -2.605 4.481 0.696  C32 1.087
36 C -2.032 1.827 0.847  C27 1.531, H37 1.087, H38 1.088, H39 1.088
37 H -2.477 2.103 1.799  C36 1.087
38 H -1.473 0.901 0.967  C36 1.088
39 H -2.833 1.651 0.133  C36 1.088
40 C 2.514 0.177 -0.130  C21 1.519, C41 1.391, C45 1.391
41 C 2.985 -0.298 -1.349  C40 1.391, C42 1.383, H50 1.077
42 C 4.300 -0.705 -1.488  C41 1.383, C43 1.385, H49 1.079
43 C 5.156 -0.640 -0.402  C42 1.385, C44 1.384, Cl48 1.729
44 C 4.713 -0.155 0.816  C43 1.384, C45 1.383, H47 1.079
45 C 3.397 0.250 0.942  C40 1.391, C44 1.383, H46 1.082
46 H 3.063 0.639 1.895  C45 1.082
47 H 5.389 -0.093 1.655  C44 1.079
48 Cl 6.798 -1.157 -0.570  C43 1.729
49 H 4.658 -1.069 -2.438  C42 1.079
50 H 2.333 -0.316 -2.206  C41 1.077
51 H 1.000 1.074 1.055  C21 1.094
52 H 1.167 -0.898 2.062  C5 1.093
53 H 0.886 -2.377 1.149  C5 1.098
=====

    PS Nash, 2019. The Never-Ending Story? Or, Does the Roman Catholic Church Remain Vulnerable to Charges of Improper Handling of Clergy Child Sex Abuse?, Oxford Journal of Law and Religion.

    D Vaughan, ‘The Dark Side of Organisations: Mistake, Misconduct and Disaster’ (1999) 25 Annual Review of Sociology 271, 271.

  5. I would say that the second and the third causes of crisis are genuine; but less so the first. It is true that the Catholic Church is facing many scandals due to the sexual misbehavior of priests and the tendency on the part of the hierarchy to cover them up. And it true to that this will lead to some deconversions and to some people becoming such luke-warm Catholics that they no longer count as genuine members of the Church. I would even concede that the sexual scandals are related to the second cause in that the reason that the Church is finding it hard to attract recruits to the priesthood is the vow of celibacy and that the reason for the sexual scandals is the inability of many past and current priests to live up to their vows. BUT the Church has survived many such scandals in the past and can do so again, so I don’t see these scandals as an existential threat. (There is absolutely nothing in Catholic doctrine to suggest that sin is impossible or even unlikely for priests.) It is otherwise with the second and the third causes of crisis. I there aren’t enough people to administer the sacraments the church will die. And if enough people find its moral or metaphysical doctrines implausible it will die too. And here there is a problem. If the Catholic Church relaxes the vow of celibacy to attract recruits then this means admitting that on this point for all these centuries they have been wrong and their Greek Orthodox and Protestant opponents have ben right. In which case the claims to Divine Guidance and Divine inspiration start to look a little thin. The same problem arises if they adapt the moral precepts of the Church to make them acceptable to to the modern world. If, say, divorce, contraception and premarital sex are OK, then the Church has been in error for many centuries in saying that they were not. Thus, with respect to the first and third problems, it is hard for Church to deal with them without abandoning its pretentions to divine guidance and inspiration which is a large part of its raison d’etre. Thus the first problem can be solved with some vigorous (though no doubt embarrassing) house-cleaning. It’s serous but not life-threatening. Not so the second and the third.
